### Job
Please start at the top of the data further down and retype each line, ending with the one that has "N=[S@](=O)([O-])Cl".

### Contents
<<<
--- A ---
Molecular formula: C3H4N4O2
Method: DFT, ωB97M-V/def2-TZVPD

Atoms and positions in Å:
N (0.519, -0.968, 2.417)
C (0.262, -1.309, 1.071)
O (-0.479, -2.200, 0.788)
N (0.811, -0.305, 0.238)
C (0.078, 0.056, -0.710)
N (-1.209, -0.201, -1.207)
C (-1.339, 1.017, -1.872)
O (-0.192, 2.054, -1.931)
N (0.759, 0.905, -1.577)
H (0.483, -1.645, 3.146)
H (1.079, -0.355, 2.820)
H (-2.232, 1.444, -2.275)
H (1.460, 1.507, -0.906)

structure (SMILES)	NC(=O)/N=c1\nco[nH]1


--- B ---
Molecular formula: C3H4N4O2
Method: DFT, ωB97M-V/def2-TZVPD

Atoms and positions in Å:
H (0.606, -2.265, 0.423)
N (0.869, -1.714, -0.513)
C (0.325, -0.537, -0.631)
C (0.379, 0.129, -1.976)
O (0.766, -0.462, -2.977)
O (-0.196, 1.386, -2.027)
N (-1.030, 1.942, -1.037)
N (-0.977, 1.433, 0.059)
N (-0.234, 0.369, 0.367)
C (-0.155, -0.026, 1.766)
H (-0.394, 0.892, 2.452)
H (-0.858, -0.789, 2.136)
H (0.900, -0.359, 1.957)

structure (SMILES)	[H]/N=c1/c(=O)onnn1C


Relative calculated energies, zero for the most stable structure, unit hartree: A 0.0074; B 0.0000.


--- A ---
Molecular formula: ClHNO2S
Method: DFT, ωB97M-V/def2-TZVPD

Atoms and positions in Å:
N (0.354, -0.347, -0.266)
O (-2.961, -0.204, -1.276)
O (-2.629, -0.008, 1.115)
S (-2.305, -0.779, -0.094)
Cl (0.707, -2.034, -0.205)
H (0.759, -0.194, 0.694)

charge	-1


--- B ---
Molecular formula: ClHNO2S
Method: DFT, ωB97M-V/def2-TZVPD

Atoms and positions in Å:
N (-0.566, 0.380, -0.122)
S (-0.975, 0.103, 1.359)
O (-1.980, 0.974, 1.921)
O (0.200, -0.220, 2.174)
Cl (-1.992, -1.893, 0.979)
H (0.197, -0.179, -0.274)

charge	-1
structure (SMILES)	N=[S@](=O)([O-])Cl


Relative calculated energies, zero for the most stable structure, unit hartree: A 0.0704; B 0.0000.


--- A ---
Molecular formula: C2H2FIO
Method: DFT, ωB97M-V/def2-TZVPD

Atoms and positions in Å:
C (3.172, -0.795, 0.537)
C (4.251, -0.784, 0.075)
O (-0.044, -0.543, 0.346)
F (5.520, -0.615, -0.157)
I (-1.862, -0.580, 0.033)
H (2.210, -0.646, 0.904)
H (-1.776, -0.837, -1.426)


--- B ---
Molecular formula: C2H2FIO
Method: DFT, ωB97M-V/def2-TZVPD

Atoms and positions in Å:
O (-1.226, 0.255, -0.119)
C (-2.234, -0.176, 0.190)
C (-3.309, -0.467, 0.833)
F (-4.461, -0.856, 0.198)
H (-3.307, -0.783, 1.882)
I (1.647, 2.075, -0.268)
H (0.550, 1.841, -1.344)

structure (SMILES)	O=C=CF.I


--- C ---
Molecular formula: C2H2FIO
Method: DFT, ωB97M-V/def2-TZVPD

Atoms and positions in Å:
F (-0.082, -1.293, -0.674)
C (0.442, -0.162, -0.253)
C (-0.147, 0.430, 0.780)
O (-0.033, 1.620, 1.378)
I (1.521, 2.807, 1.274)
H (1.344, 0.057, -0.966)
H (-0.997, -0.071, 1.338)

structure (SMILES)	F/C=C/OI


Relative calculated energies, zero for the most stable structure, unit hartree: A 0.1686; B 0.0000; C 0.0118.


--- A ---
Molecular formula: C8H12ClP
Method: DFT, ωB97M-V/def2-TZVPD

Atoms and positions in Å:
C (-1.457, 1.202, 2.479)
C (-0.795, 0.287, 1.539)
P (-0.015, -1.102, 2.073)
C (0.639, -1.481, 0.400)
C (1.743, -2.414, 0.074)
C (0.021, -0.673, -0.525)
C (0.132, -0.749, -2.008)
C (-0.836, 0.453, 0.037)
C (-0.156, 1.824, -0.351)
Cl (-2.576, 0.330, -0.491)
H (-1.208, 2.246, 2.553)
H (-1.661, 0.649, 3.391)
H (-2.530, 1.255, 1.982)
H (2.782, -2.146, 0.156)
H (1.502, -2.824, -0.986)
H (1.726, -3.155, 0.911)
H (1.074, -0.758, -2.581)
H (-0.481, 0.058, -2.358)
H (-0.235, -1.792, -2.108)
H (-0.311, 2.044, -1.385)
H (0.934, 1.781, -0.439)
H (-0.606, 2.562, 0.252)

structure (SMILES)	CC1=PC(C)=C(C)[C@@]1(C)Cl


--- B ---
Molecular formula: C8H12ClP
Method: DFT, ωB97M-V/def2-TZVPD

Atoms and positions in Å:
C (0.194, -0.101, 0.031)
C (-1.268, 0.077, -0.216)
C (0.467, -0.884, 1.101)
C (-2.021, 1.106, 0.324)
C (1.114, 0.433, -1.025)
C (-1.808, -0.894, -1.298)
C (1.806, -1.452, 1.433)
C (-1.399, 2.208, 1.097)
P (-0.988, -1.179, 1.940)
Cl (-3.703, 1.595, -0.065)
H (0.904, 1.470, -1.253)
H (0.932, -0.174, -1.873)
H (2.111, 0.386, -0.591)
H (-1.605, -0.450, -2.217)
H (-2.892, -0.864, -1.202)
H (-1.446, -1.886, -1.042)
H (1.763, -2.300, 2.122)
H (2.234, -0.641, 2.137)
>>>

### Completed
--- A ---
Molecular formula: C3H4N4O2
Method: DFT, ωB97M-V/def2-TZVPD

Atoms and positions in Å:
N (0.519, -0.968, 2.417)
C (0.262, -1.309, 1.071)
O (-0.479, -2.200, 0.788)
N (0.811, -0.305, 0.238)
C (0.078, 0.056, -0.710)
N (-1.209, -0.201, -1.207)
C (-1.339, 1.017, -1.872)
O (-0.192, 2.054, -1.931)
N (0.759, 0.905, -1.577)
H (0.483, -1.645, 3.146)
H (1.079, -0.355, 2.820)
H (-2.232, 1.444, -2.275)
H (1.460, 1.507, -0.906)

structure (SMILES)	NC(=O)/N=c1\nco[nH]1


--- B ---
Molecular formula: C3H4N4O2
Method: DFT, ωB97M-V/def2-TZVPD

Atoms and positions in Å:
H (0.606, -2.265, 0.423)
N (0.869, -1.714, -0.513)
C (0.325, -0.537, -0.631)
C (0.379, 0.129, -1.976)
O (0.766, -0.462, -2.977)
O (-0.196, 1.386, -2.027)
N (-1.030, 1.942, -1.037)
N (-0.977, 1.433, 0.059)
N (-0.234, 0.369, 0.367)
C (-0.155, -0.026, 1.766)
H (-0.394, 0.892, 2.452)
H (-0.858, -0.789, 2.136)
H (0.900, -0.359, 1.957)

structure (SMILES)	[H]/N=c1/c(=O)onnn1C


Relative calculated energies, zero for the most stable structure, unit hartree: A 0.0074; B 0.0000.


--- A ---
Molecular formula: ClHNO2S
Method: DFT, ωB97M-V/def2-TZVPD

Atoms and positions in Å:
N (0.354, -0.347, -0.266)
O (-2.961, -0.204, -1.276)
O (-2.629, -0.008, 1.115)
S (-2.305, -0.779, -0.094)
Cl (0.707, -2.034, -0.205)
H (0.759, -0.194, 0.694)

charge	-1


--- B ---
Molecular formula: ClHNO2S
Method: DFT, ωB97M-V/def2-TZVPD

Atoms and positions in Å:
N (-0.566, 0.380, -0.122)
S (-0.975, 0.103, 1.359)
O (-1.980, 0.974, 1.921)
O (0.200, -0.220, 2.174)
Cl (-1.992, -1.893, 0.979)
H (0.197, -0.179, -0.274)

charge	-1
structure (SMILES)	N=[S@](=O)([O-])Cl